Entries.
┌──
Entry 1:
This entry pairs a crystal structure of CeSmCo with its calculated XRD peak list. Radiation: Cu Kα. Structure: a crystal structure in Alexandria, relaxed with GGA-PBE.
No peak broadening, texture or thermal motion is included.

Structure:
```
CeSmCo
1.0
6.048 0.000 0.000
0.000 7.326 0.000
-2.710 0.000 6.650
Ce Sm Co
4 4 4
direct
0.219 0.141 0.446 Ce
0.219 0.359 0.946 Ce
0.781 0.641 0.054 Ce
0.781 0.859 0.554 Ce
0.282 0.653 0.581 Sm
0.282 0.847 0.081 Sm
0.718 0.153 0.919 Sm
0.718 0.347 0.419 Sm
0.140 0.090 0.751 Co
0.140 0.410 0.251 Co
0.860 0.590 0.749 Co
0.860 0.910 0.249 Co
```

Top 10 peaks for 10° ≤ 2θ ≤ 90°, in order of falling intensity:
| d [Å] | two_theta | I/Imax |
| --- | --- | --- |
| 3.031 | 29.47 | 100 |
| 2.588 | 34.66 | 53 |
| 2.800 | 31.96 | 40 |
| 2.703 | 33.15 | 26 |
| 2.275 | 39.62 | 19 |
| 2.535 | 35.41 | 14 |
| 1.709 | 53.62 | 12 |
| 1.759 | 51.99 | 12 |
| 1.617 | 56.95 | 12 |
| 1.831 | 49.79 | 12 |


Entry 2:
This entry pairs a crystal structure of CeSm2YCo2 with its calculated XRD peak list. Radiation: Cu Kα. Structure: a crystal structure in Alexandria, relaxed with GGA-PBE.
No peak broadening, texture or thermal motion is included.

Structure:
```
CeSm2YCo2
1.0
-3.432 6.408 3.352
3.432 -6.408 3.352
3.432 6.408 -3.352
Ce Sm Y Co
2 4 2 4
direct
0.250 0.250 0.000 Ce
0.750 0.750 0.000 Ce
0.201 0.202 0.403 Sm
0.299 0.702 0.001 Sm
0.701 0.298 0.999 Sm
0.799 0.798 0.597 Sm
0.250 0.750 0.500 Y
0.750 0.250 0.500 Y
0.094 0.789 0.883 Co
0.406 0.289 0.696 Co
0.594 0.711 0.304 Co
0.906 0.211 0.117 Co
```

Top 10 peaks for 10° ≤ 2θ ≤ 90°, in order of falling intensity:
| d [Å] | two_theta | I/Imax |
| --- | --- | --- |
| 2.970 | 30.09 | 100 |
| 2.398 | 37.51 | 91 |
| 2.664 | 33.64 | 87 |
| 3.025 | 29.53 | 74 |
| 1.951 | 46.55 | 29 |
| 1.771 | 51.62 | 26 |
| 6.050 | 14.64 | 26 |
| 1.676 | 54.77 | 18 |
| 3.204 | 27.85 | 17 |
| 1.466 | 63.45 | 17 |


Entry 3:
This entry pairs a crystal structure of CeCo4Sn12 with its calculated XRD peak list. Radiation: Cu Kα. Structure: a crystal structure in Alexandria, relaxed with GGA-PBE.
No peak broadening, texture or thermal motion is included.

Structure:
```
CeCo4Sn12
1.0
-4.609 4.609 4.609
4.609 -4.609 4.609
4.609 4.609 -4.609
Ce Co Sn
1 4 12
direct
0.000 0.000 0.000 Ce
0.000 0.000 0.500 Co
0.000 0.500 0.000 Co
0.500 0.000 0.000 Co
0.500 0.500 0.500 Co
0.161 0.331 0.830 Sn
0.170 0.501 0.331 Sn
0.170 0.839 0.669 Sn
0.331 0.170 0.501 Sn
0.331 0.830 0.161 Sn
0.499 0.669 0.830 Sn
0.501 0.331 0.170 Sn
0.669 0.170 0.839 Sn
0.669 0.830 0.499 Sn
0.830 0.161 0.331 Sn
0.830 0.499 0.669 Sn
0.839 0.669 0.170 Sn
```

Top 10 peaks for 10° ≤ 2θ ≤ 90°, in order of falling intensity:
| d [Å] | two_theta | I/Imax |
| --- | --- | --- |
| 2.915 | 30.67 | 100 |
| 2.464 | 36.47 | 55 |
| 1.882 | 48.37 | 24 |
| 1.581 | 58.37 | 22 |
| 1.359 | 69.11 | 21 |
| 1.808 | 50.48 | 19 |
| 1.495 | 62.06 | 14 |
| 1.102 | 88.80 | 13 |
| 2.061 | 43.92 | 12 |
| 1.536 | 60.23 | 12 |


Entry 4:
This entry pairs a crystal structure of Ce5Co2Sn2 with its calculated XRD peak list. Radiation: Cu Kα. Structure: a crystal structure in Alexandria, relaxed with GGA-PBE.
No peak broadening, texture or thermal motion is included.

Structure:
```
Ce5Co2Sn2
1.0
-3.355 10.957 3.398
3.355 -10.957 3.398
3.355 10.957 -3.398
Ce Co Sn
10 4 4
direct
0.143 0.001 0.141 Ce
0.200 0.450 0.750 Ce
0.249 0.000 0.749 Ce
0.249 0.500 0.249 Ce
0.360 0.001 0.359 Ce
0.640 0.999 0.641 Ce
0.751 0.000 0.251 Ce
0.751 0.500 0.751 Ce
0.800 0.550 0.250 Ce
0.857 0.999 0.859 Ce
0.000 0.000 0.000 Co
0.206 0.956 0.250 Co
0.500 0.000 0.500 Co
0.794 0.044 0.750 Co
0.107 0.501 0.606 Sn
0.396 0.501 0.894 Sn
0.604 0.499 0.106 Sn
0.893 0.499 0.394 Sn
```

Top 10 peaks for 10° ≤ 2θ ≤ 90°, in order of falling intensity:
| d [Å] | two_theta | I/Imax |
| --- | --- | --- |
| 2.388 | 37.67 | 100 |
| 2.901 | 30.82 | 67 |
| 1.800 | 50.72 | 56 |
| 2.739 | 32.69 | 53 |
| 2.888 | 30.97 | 43 |
| 3.208 | 27.81 | 37 |
| 2.861 | 31.26 | 37 |
| 3.246 | 27.48 | 32 |
└──

To do.
Could you set down every line above that contains the word "of"?

Here it is.
This entry pairs a crystal structure of CeSmCo with its calculated XRD peak list. Radiation: Cu Kα. Structure: a crystal structure in Alexandria, relaxed with GGA-PBE.
Top 10 peaks for 10° ≤ 2θ ≤ 90°, in order of falling intensity:
This entry pairs a crystal structure of CeSm2YCo2 with its calculated XRD peak list. Radiation: Cu Kα. Structure: a crystal structure in Alexandria, relaxed with GGA-PBE.
Top 10 peaks for 10° ≤ 2θ ≤ 90°, in order of falling intensity:
This entry pairs a crystal structure of CeCo4Sn12 with its calculated XRD peak list. Radiation: Cu Kα. Structure: a crystal structure in Alexandria, relaxed with GGA-PBE.
Top 10 peaks for 10° ≤ 2θ ≤ 90°, in order of falling intensity:
This entry pairs a crystal structure of Ce5Co2Sn2 with its calculated XRD peak list. Radiation: Cu Kα. Structure: a crystal structure in Alexandria, relaxed with GGA-PBE.
Top 10 peaks for 10° ≤ 2θ ≤ 90°, in order of falling intensity: